Excerpt:
'''
1.
The following is a quantum chemistry calculation of a structure of composition C34H52N4O2S4SbSeTc in a non-equilibrium geometry, from the Open Molecules 2025 dataset.

Each line ends with the Löwdin charge.
Positions of all 99 atoms, in Å:
Tc 0.06 -0.73 -2.18  0.889
C -3.32 2.92 3.55  -0.045
C -3.52 3.50 2.14  -0.557
C -4.98 3.90 1.94  -0.049
C -2.66 4.77 2.04  -0.064
C -3.10 2.44 1.14  -0.181
C -2.00 2.56 0.30  -0.061
C -1.57 1.47 -0.43  -0.361
Se -0.08 1.64 -1.65  1.128
C 1.37 1.61 -0.38  -0.368
C 1.68 2.77 0.31  -0.067
C 2.74 2.78 1.19  -0.185
C 3.54 1.63 1.21  0.004
C 3.31 0.49 0.47  -0.086
C 2.08 0.39 -0.25  -0.382
O 1.61 -0.70 -0.76  -0.290
C 4.40 -0.58 0.44  -0.528
C 4.27 -1.53 -0.75  -0.053
C 5.78 0.11 0.33  -0.053
C 4.35 -1.40 1.74  -0.040
C 3.08 3.95 2.10  -0.556
C 4.51 4.42 1.85  -0.046
C 2.91 3.46 3.55  -0.044
C 2.14 5.14 1.88  -0.063
C -2.17 0.20 -0.37  -0.382
O -1.59 -0.83 -0.91  -0.311
C -3.42 0.15 0.30  -0.086
C -3.81 1.24 1.05  0.019
C -4.30 -1.08 0.14  -0.531
C -5.72 -0.89 0.69  -0.068
C -4.44 -1.41 -1.35  -0.039
C -3.66 -2.26 0.89  -0.032
H -3.57 3.66 4.31  0.079
H -3.96 2.05 3.70  0.077
H -2.29 2.62 3.69  0.088
H -5.26 4.69 2.64  0.079
H -5.13 4.28 0.93  0.089
H -5.65 3.06 2.10  0.072
H -3.00 5.50 2.78  0.082
H -1.62 4.55 2.23  0.072
H -2.76 5.22 1.05  0.087
H -1.44 3.48 0.20  0.093
H 1.06 3.64 0.14  0.092
H 4.41 1.65 1.84  0.100
H 4.05 -0.99 -1.67  0.075
H 5.20 -2.08 -0.88  0.084
H 3.48 -2.24 -0.56  0.052
H 5.76 0.86 -0.45  0.095
H 6.08 0.58 1.27  0.069
H 6.54 -0.63 0.08  0.078
H 3.37 -1.88 1.84  0.086
H 5.11 -2.18 1.71  0.082
H 4.51 -0.78 2.61  0.077
H 5.24 3.65 2.10  0.072
H 4.64 4.68 0.80  0.090
H 4.74 5.30 2.46  0.078
H 3.59 2.64 3.77  0.075
H 3.10 4.26 4.26  0.080
H 1.89 3.10 3.70  0.088
H 2.20 5.49 0.85  0.086
H 1.11 4.87 2.10  0.072
H 2.43 5.96 2.54  0.082
H -4.73 1.17 1.61  0.095
H -6.21 -0.04 0.21  0.087
H -6.30 -1.78 0.49  0.082
H -5.71 -0.74 1.77  0.076
H -4.89 -0.57 -1.88  0.095
H -3.47 -1.61 -1.81  0.042
H -5.07 -2.29 -1.49  0.083
H -2.61 -2.33 0.64  0.058
H -3.75 -2.11 1.96  0.085
H -4.15 -3.19 0.62  0.084
S 0.17 1.32 -6.95  -0.248
Sb 0.25 -0.56 -5.68  -0.076
S 1.78 -0.49 -3.74  0.044
S -1.49 -0.63 -3.92  0.048
S 0.51 -2.61 -6.66  -0.210
C -0.74 -3.63 -3.25  -0.233
N 0.12 -2.98 -2.23  -0.192
C -0.31 -3.48 -0.91  -0.183
N -0.24 -4.93 -0.82  -0.083
C -1.09 -5.51 -1.86  -0.173
N -0.67 -5.07 -3.18  -0.080
C 0.71 -5.48 -3.40  -0.161
N 1.59 -4.91 -2.38  -0.081
C 1.50 -3.47 -2.46  -0.211
C 1.13 -5.34 -1.07  -0.175
H -0.42 -3.33 -4.25  0.022
H -1.78 -3.31 -3.09  0.101
H -1.35 -3.18 -0.75  0.100
H 0.32 -3.04 -0.14  0.133
H -2.12 -5.20 -1.69  0.129
H -1.02 -6.60 -1.79  0.125
H 1.03 -5.12 -4.38  0.122
H 0.78 -6.56 -3.36  0.125
H 1.85 -3.15 -3.45  0.083
H 2.15 -3.03 -1.70  0.092
H 1.78 -4.92 -0.30  0.128
H 1.19 -6.44 -1.02  0.124

## Properties
LUMO (spin up / spin down) (eV): 2.12 / 1.43
Total charge: -1
Orbital gap (spin up / spin down) (eV): 7.30 / 6.60
Highest occupied orbital energy (spin up / spin down) (Ha): -0.1901 / -0.1902
Relative energy (zero: lowest compared OMol25 entry of this formula, charge and spin) (kcal per mole): 0.0
2S+1: 4

---

2.
The following is a quantum chemistry calculation of the ion C35H41N2O3S with charge +1 in a non-equilibrium geometry, from the Open Molecules 2025 dataset.

Each line ends with the Löwdin charge.
Positions of all 82 atoms, in Å:
C -6.97 -4.23 1.65  -0.048
O -6.47 -2.90 1.41  -0.073
C -5.13 -2.70 1.47  -0.251
C -4.70 -1.35 1.44  0.020
C -3.37 -1.04 1.45  -0.005
C -2.42 -2.07 1.41  -0.181
C -0.99 -1.71 1.22  -0.299
C -0.11 -2.18 -0.02  -0.246
S 1.51 -2.51 0.88  1.093
C 1.27 -3.07 2.57  -0.215
C 2.14 -4.03 0.13  -0.224
O -0.43 -1.00 2.09  0.000
C -2.81 -3.42 1.46  -0.028
C -4.16 -3.72 1.51  -0.005
H -8.04 -4.12 1.73  0.094
H -6.72 -4.86 0.81  0.092
H -6.58 -4.65 2.57  0.097
H -5.47 -0.59 1.44  0.129
H -3.00 -0.01 1.40  0.135
H -0.53 -3.17 -0.35  0.097
H 2.25 -3.16 3.07  0.087
H 0.63 -2.39 3.13  0.060
H 0.87 -4.08 2.59  0.066
H 3.21 -3.99 0.32  0.065
'''

Assignment:
Your job: find the line earlier on that holds "-0.215", then transcribe that line and all lines after it there.

Result:
C 1.27 -3.07 2.57  -0.215
C 2.14 -4.03 0.13  -0.224
O -0.43 -1.00 2.09  0.000
C -2.81 -3.42 1.46  -0.028
C -4.16 -3.72 1.51  -0.005
H -8.04 -4.12 1.73  0.094
H -6.72 -4.86 0.81  0.092
H -6.58 -4.65 2.57  0.097
H -5.47 -0.59 1.44  0.129
H -3.00 -0.01 1.40  0.135
H -0.53 -3.17 -0.35  0.097
H 2.25 -3.16 3.07  0.087
H 0.63 -2.39 3.13  0.060
H 0.87 -4.08 2.59  0.066
H 3.21 -3.99 0.32  0.065